(Assignment)
It remains to echo all of the calculation results underneath without additions.
(Excerpt)
1.
A plane-wave DFT calculation with GGA-PBEsol was carried out for crystalline AlFe4Si at its relaxed geometry.

Summary:
* V: 70.4 Å³ per cell
* DOS at the Fermi energy: 5.20 states/eV/cell
* crystal system: cubic
* symmetry: No. 216
* DFT total energy: -7.6448 eV/atom

Cell lengths 4.634, 4.634, 4.634 Å; angles 60.00, 60.00, 60.00 degrees
Site moments in Bohr magnetons follow the coordinates.
Element x y z (fractional)
1 Al 0.000 0.000 0.000  -0.04
2 Fe 0.375 0.375 0.375  1.80
3 Fe 0.375 0.375 0.874  1.80
4 Fe 0.874 0.375 0.375  1.80
5 Fe 0.375 0.874 0.375  1.80
6 Si 0.750 0.750 0.750  -0.02

***

2.
A plane-wave DFT calculation with GGA-PBEsol was carried out for crystalline Al2Fe3Si3 at its relaxed geometry.

Summary:
* V: 190.6 Å³ per cell
* crystal system: triclinic
* symmetry: No. 2
* DFT total energy: -7.1040 eV/atom

Cell lengths 4.558, 6.261, 7.379 Å; angles 101.81, 106.78, 100.59 degrees
Element x y z (fractional)
1 Al 0.054 0.646 0.273
2 Al 0.946 0.354 0.727
3 Al 0.413 0.675 0.051
4 Al 0.587 0.325 0.949
5 Fe 0.040 0.293 0.415
6 Fe 0.960 0.707 0.585
7 Fe 0.135 0.318 0.057
8 Fe 0.865 0.682 0.943
9 Fe 0.364 0.028 0.232
10 Fe 0.636 0.972 0.768
11 Si 0.277 0.045 0.534
12 Si 0.723 0.955 0.466
13 Si 0.543 0.412 0.347
14 Si 0.457 0.588 0.653
15 Si 0.821 0.024 0.114
16 Si 0.179 0.976 0.886

***

3.
A plane-wave DFT calculation with GGA-PBEsol was carried out for crystalline Al2FeSi at its relaxed geometry.

Summary:
* V: 50.3 Å³ per cell
* DOS at the Fermi energy: 1.88 states/eV/cell
* crystal system: tetragonal
* symmetry: No. 139
* DFT total energy: -5.8561 eV/atom

Cell lengths 3.659, 3.659, 4.563 Å; angles 113.64, 113.64, 90.00 degrees
Element x y z (fractional)
1 Si 0.500 0.500 0.000
2 Fe 0.000 0.000 0.000
3 Al 0.250 0.750 0.500
4 Al 0.750 0.250 0.500

***

4.
A plane-wave DFT calculation with GGA-PBEsol was carried out for crystalline AlFe3Si at its relaxed geometry.

Summary:
* V: 73.3 Å³ per cell
* DOS at the Fermi energy: 8.08 states/eV/cell
* crystal system: cubic
* symmetry: No. 221
* DFT total energy: -6.1599 eV/atom

Cell lengths 4.185, 4.185, 4.185 Å; angles 90.00, 90.00, 90.00 degrees
Site moments in Bohr magnetons follow the coordinates.
Element x y z (fractional)
1 Si 0.500 0.500 0.500  -0.04
2 Fe 0.000 0.500 0.000  2.08
3 Fe 0.000 0.000 0.500  2.08
4 Fe 0.500 0.000 0.000  2.08
5 Al 0.000 0.000 0.000  -0.09

***

5.
A plane-wave DFT calculation with GGA-PBEsol was carried out for crystalline TbAl9Fe4Si6 at its relaxed geometry.

Summary:
* V: 1110.1 Å³ per cell
* DOS at the Fermi energy: 8.84 states/eV/cell
* crystal system: tetragonal
* symmetry: No. 137
* DFT total energy: -6.0631 eV/atom

Cell lengths 8.587, 8.587, 15.053 Å; angles 90.00, 90.00, 90.00 degrees
Element x y z (fractional)
1 Tb 0.000 0.500 0.086
2 Tb 0.000 0.500 0.586
3 Tb 0.500 0.000 0.414
4 Tb 0.500 0.000 0.914
5 Al 0.317 0.000 0.089
6 Al 0.500 0.500 0.273
7 Al 0.000 0.000 0.773
8 Al 0.000 0.000 0.227
9 Al 0.500 0.500 0.727
10 Al 0.500 0.656 0.898
11 Al 0.500 0.344 0.898
12 Al 0.656 0.500 0.102
13 Al 0.156 0.000 0.398
14 Al 0.844 0.000 0.398
15 Al 0.000 0.156 0.602
16 Al 0.000 0.844 0.602
17 Al 0.344 0.500 0.102
18 Al 0.704 0.254 0.331
19 Al 0.296 0.746 0.331
20 Al 0.254 0.704 0.669
21 Al 0.754 0.796 0.831
22 Al 0.246 0.204 0.831
23 Al 0.796 0.754 0.169
24 Al 0.204 0.246 0.169
25 Al 0.746 0.296 0.669
26 Al 0.500 0.817 0.589
27 Al 0.500 0.183 0.589
28 Al 0.817 0.500 0.411
29 Al 0.183 0.500 0.411
30 Al 0.683 0.000 0.089
31 Al 0.000 0.317 0.911
32 Al 0.000 0.683 0.911
33 Al 0.754 0.204 0.831
34 Al 0.796 0.246 0.169
35 Al 0.704 0.746 0.331
36 Al 0.254 0.296 0.669
37 Al 0.746 0.704 0.669
38 Al 0.246 0.796 0.831
39 Al 0.204 0.754 0.169
40 Al 0.296 0.254 0.331
41 Fe 0.255 0.745 0.500
42 Fe 0.755 0.755 0.000
43 Fe 0.245 0.245 0.000
44 Fe 0.745 0.255 0.500
45 Fe 0.245 0.755 0.000
46 Fe 0.745 0.745 0.500
47 Fe 0.255 0.255 0.500
48 Fe 0.755 0.245 0.000
49 Fe 0.778 0.500 0.250
50 Fe 0.222 0.500 0.250
51 Fe 0.500 0.222 0.750
52 Fe 0.000 0.722 0.750
(Written answer)
1.
A plane-wave DFT calculation with GGA-PBEsol was carried out for crystalline AlFe4Si at its relaxed geometry.

Summary:
* V: 70.4 Å³ per cell
* DOS at the Fermi energy: 5.20 states/eV/cell
* crystal system: cubic
* symmetry: No. 216
* DFT total energy: -7.6448 eV/atom

Cell lengths 4.634, 4.634, 4.634 Å; angles 60.00, 60.00, 60.00 degrees
Site moments in Bohr magnetons follow the coordinates.
Element x y z (fractional)
1 Al 0.000 0.000 0.000  -0.04
2 Fe 0.375 0.375 0.375  1.80
3 Fe 0.375 0.375 0.874  1.80
4 Fe 0.874 0.375 0.375  1.80
5 Fe 0.375 0.874 0.375  1.80
6 Si 0.750 0.750 0.750  -0.02

***

2.
A plane-wave DFT calculation with GGA-PBEsol was carried out for crystalline Al2Fe3Si3 at its relaxed geometry.

Summary:
* V: 190.6 Å³ per cell
* crystal system: triclinic
* symmetry: No. 2
* DFT total energy: -7.1040 eV/atom

Cell lengths 4.558, 6.261, 7.379 Å; angles 101.81, 106.78, 100.59 degrees
Element x y z (fractional)
1 Al 0.054 0.646 0.273
2 Al 0.946 0.354 0.727
3 Al 0.413 0.675 0.051
4 Al 0.587 0.325 0.949
5 Fe 0.040 0.293 0.415
6 Fe 0.960 0.707 0.585
7 Fe 0.135 0.318 0.057
8 Fe 0.865 0.682 0.943
9 Fe 0.364 0.028 0.232
10 Fe 0.636 0.972 0.768
11 Si 0.277 0.045 0.534
12 Si 0.723 0.955 0.466
13 Si 0.543 0.412 0.347
14 Si 0.457 0.588 0.653
15 Si 0.821 0.024 0.114
16 Si 0.179 0.976 0.886

***

3.
A plane-wave DFT calculation with GGA-PBEsol was carried out for crystalline Al2FeSi at its relaxed geometry.

Summary:
* V: 50.3 Å³ per cell
* DOS at the Fermi energy: 1.88 states/eV/cell
* crystal system: tetragonal
* symmetry: No. 139
* DFT total energy: -5.8561 eV/atom

Cell lengths 3.659, 3.659, 4.563 Å; angles 113.64, 113.64, 90.00 degrees
Element x y z (fractional)
1 Si 0.500 0.500 0.000
2 Fe 0.000 0.000 0.000
3 Al 0.250 0.750 0.500
4 Al 0.750 0.250 0.500

***

4.
A plane-wave DFT calculation with GGA-PBEsol was carried out for crystalline AlFe3Si at its relaxed geometry.

Summary:
* V: 73.3 Å³ per cell
* DOS at the Fermi energy: 8.08 states/eV/cell
* crystal system: cubic
* symmetry: No. 221
* DFT total energy: -6.1599 eV/atom

Cell lengths 4.185, 4.185, 4.185 Å; angles 90.00, 90.00, 90.00 degrees
Site moments in Bohr magnetons follow the coordinates.
Element x y z (fractional)
1 Si 0.500 0.500 0.500  -0.04
2 Fe 0.000 0.500 0.000  2.08
3 Fe 0.000 0.000 0.500  2.08
4 Fe 0.500 0.000 0.000  2.08
5 Al 0.000 0.000 0.000  -0.09

***

5.
A plane-wave DFT calculation with GGA-PBEsol was carried out for crystalline TbAl9Fe4Si6 at its relaxed geometry.

Summary:
* V: 1110.1 Å³ per cell
* DOS at the Fermi energy: 8.84 states/eV/cell
* crystal system: tetragonal
* symmetry: No. 137
* DFT total energy: -6.0631 eV/atom

Cell lengths 8.587, 8.587, 15.053 Å; angles 90.00, 90.00, 90.00 degrees
Element x y z (fractional)
1 Tb 0.000 0.500 0.086
2 Tb 0.000 0.500 0.586
3 Tb 0.500 0.000 0.414
4 Tb 0.500 0.000 0.914
5 Al 0.317 0.000 0.089
6 Al 0.500 0.500 0.273
7 Al 0.000 0.000 0.773
8 Al 0.000 0.000 0.227
9 Al 0.500 0.500 0.727
10 Al 0.500 0.656 0.898
11 Al 0.500 0.344 0.898
12 Al 0.656 0.500 0.102
13 Al 0.156 0.000 0.398
14 Al 0.844 0.000 0.398
15 Al 0.000 0.156 0.602
16 Al 0.000 0.844 0.602
17 Al 0.344 0.500 0.102
18 Al 0.704 0.254 0.331
19 Al 0.296 0.746 0.331
20 Al 0.254 0.704 0.669
21 Al 0.754 0.796 0.831
22 Al 0.246 0.204 0.831
23 Al 0.796 0.754 0.169
24 Al 0.204 0.246 0.169
25 Al 0.746 0.296 0.669
26 Al 0.500 0.817 0.589
27 Al 0.500 0.183 0.589
28 Al 0.817 0.500 0.411
29 Al 0.183 0.500 0.411
30 Al 0.683 0.000 0.089
31 Al 0.000 0.317 0.911
32 Al 0.000 0.683 0.911
33 Al 0.754 0.204 0.831
34 Al 0.796 0.246 0.169
35 Al 0.704 0.746 0.331
36 Al 0.254 0.296 0.669
37 Al 0.746 0.704 0.669
38 Al 0.246 0.796 0.831
39 Al 0.204 0.754 0.169
40 Al 0.296 0.254 0.331
41 Fe 0.255 0.745 0.500
42 Fe 0.755 0.755 0.000
43 Fe 0.245 0.245 0.000
44 Fe 0.745 0.255 0.500
45 Fe 0.245 0.755 0.000
46 Fe 0.745 0.745 0.500
47 Fe 0.255 0.255 0.500
48 Fe 0.755 0.245 0.000
49 Fe 0.778 0.500 0.250
50 Fe 0.222 0.500 0.250
51 Fe 0.500 0.222 0.750
52 Fe 0.000 0.722 0.750